== Contents ==
........
Crystalline CaIrO3 at its relaxed geometry, computed with PBE-GGA.

Computed properties:
DFT formation energy: -1.45 eV per atom
Total magnetic moment: 0.0001 μB per atom
Electronic total energy: -6.1734 eV/atom
Symmetry: Cmcm, No. 63
Corrected total energy (MP2020 scheme): -6.586 eV per atom

a b c (Å): 5.585 5.585 7.496
angles (deg): 90.00 90.00 151.08
Atoms (fractional coordinates):
Ca1 0.222 0.778 0.750
Ca2 0.778 0.222 0.250
Ir1 0.000 0.000 0.000
Ir2 0.000 0.000 0.500
O1 0.354 0.646 0.004
O2 0.354 0.646 0.496
O3 0.498 0.502 0.250
O4 0.502 0.498 0.750
O5 0.646 0.354 0.504
O6 0.646 0.354 0.996


Crystalline Ba2PrBiO6 at its relaxed geometry, computed with PBE-GGA.

Computed properties:
DFT formation energy: -2.75 eV per atom
Total magnetic moment: 0.0000 μB per atom
Electronic total energy: -6.5550 eV/atom
Symmetry: C2/m, No. 12
Corrected total energy (MP2020 scheme): -6.967 eV per atom

a b c (Å): 6.259 6.259 6.311
angles (deg): 119.96 119.96 60.13
Atoms (fractional coordinates):
Ba1 0.248 0.248 0.242
Ba2 0.752 0.752 0.758
Pr1 0.000 0.000 0.500
Bi1 0.500 0.500 0.000
O1 0.222 0.702 0.199
O2 0.263 0.263 0.693
O3 0.298 0.778 0.801
O4 0.702 0.222 0.199
O5 0.737 0.737 0.307
O6 0.778 0.298 0.801


Crystalline CaCu3Sb4O12 at its relaxed geometry, computed with PBE-GGA.

Computed properties:
DFT formation energy: -1.66 eV per atom
Total magnetic moment: 0.0331 μB per atom
Electronic total energy: -5.7601 eV/atom
Symmetry: Im-3, No. 204
Corrected total energy (MP2020 scheme): -6.172 eV per atom

a b c (Å): 6.779 6.779 6.779
angles (deg): 109.47 109.47 109.47
Atoms (fractional coordinates):
Ca1 0.000 0.000 0.000
Cu1 0.000 0.500 0.500
Cu2 0.500 0.000 0.500
Cu3 0.500 0.500 0.000
Sb1 0.000 0.000 0.500
Sb2 0.000 0.500 0.000
Sb3 0.500 0.000 0.000
Sb4 0.500 0.500 0.500
O1 0.126 0.301 0.825
O2 0.175 0.476 0.301
O3 0.175 0.874 0.699
O4 0.301 0.175 0.476
O5 0.301 0.825 0.126
O6 0.476 0.301 0.175
O7 0.524 0.699 0.825
O8 0.699 0.175 0.874
O9 0.699 0.825 0.524
O10 0.825 0.126 0.301
O11 0.825 0.524 0.699
O12 0.874 0.699 0.175


Crystalline La2TlIn at its relaxed geometry, computed with PBE-GGA.

Computed properties:
DFT formation energy: -0.46 eV per atom
Electronic total energy: -4.2068 eV/atom
Symmetry: Fm-3m, No. 225

a b c (Å): 5.634 5.634 5.634
angles (deg): 60.00 60.00 60.00
Atoms (fractional coordinates):
La1 0.250 0.250 0.250
La2 0.750 0.750 0.750
Tl1 0.000 0.000 0.000
In1 0.500 0.500 0.500


Crystalline CsTe at its relaxed geometry, computed with PBE-GGA.

Computed properties:
DFT formation energy: -1.06 eV per atom
Electronic total energy: -2.8669 eV/atom
Symmetry: Pbam, No. 55
Corrected total energy (MP2020 scheme): -3.078 eV per atom

a b c (Å): 6.323 11.822 5.104
angles (deg): 90.00 90.00 90.00
Atoms (fractional coordinates):
Cs1 0.178 0.136 0.000
Cs2 0.322 0.636 0.000
Cs3 0.678 0.364 0.000
Cs4 0.822 0.864 0.000
Te1 0.135 0.405 0.500
Te2 0.365 0.905 0.500
Te3 0.635 0.095 0.500
Te4 0.865 0.595 0.500


Crystalline TlSb3As2S8 at its relaxed geometry, computed with PBE-GGA.

Computed properties:
DFT formation energy: -0.51 eV per atom
Total magnetic moment: 0.0004 μB per atom
Electronic total energy: -4.3076 eV/atom
Symmetry: Pna2_1, No. 33
Corrected total energy (MP2020 scheme): -4.595 eV per atom

a b c (Å): 39.394 8.936 8.329
angles (deg): 90.00 90.00 90.00
Atoms (fractional coordinates):
Tl1 0.031 0.002 0.000
Tl2 0.219 0.746 0.921
Tl3 0.281 0.246 0.421
Tl4 0.469 0.502 0.500
Tl5 0.531 0.498 0.000
Tl6 0.719 0.754 0.921
Tl7 0.781 0.254 0.421
Tl8 0.969 0.998 0.500
Sb1 0.012 0.448 0.024
Sb2 0.063 0.266 0.430
Sb3 0.070 0.797 0.502
Sb4 0.140 0.306 0.195
Sb5 0.177 0.018 0.497
Sb6 0.228 0.195 0.895
Sb7 0.272 0.695 0.395
Sb8 0.323 0.518 0.997
Sb9 0.360 0.806 0.695
Sb10 0.430 0.297 0.002
Sb11 0.437 0.766 0.930
Sb12 0.488 0.948 0.524
Sb13 0.512 0.052 0.024
Sb14 0.563 0.234 0.430
Sb15 0.570 0.703 0.502
Sb16 0.640 0.194 0.195
Sb17 0.677 0.482 0.497
Sb18 0.728 0.305 0.895
Sb19 0.772 0.805 0.395
Sb20 0.823 0.982 0.997
Sb21 0.860 0.694 0.695
........

== Request ==
What is needed: say how many lines of the notes further up hold the word "O1", as a bare number.

== Completed ==
3